
Monday, June 13, 2016

Episode 9 "The Innovator's Mindset" Chapter 3


Episode 8
The Innovator's Mindset

"The Innovator's Mindset"

I'm really enjoying doing the book study and am excited to see more people answer the prompts! But I'm most excited to carry on the conversations about the topics in the comments! Let me know if anything I say resonates with you or if you have anything to add!

9. The Innovator’s Mindset 3
Hey Jo, this week I’m going to talk to you about chapter three of The Innovator’s Mindset by George Couros!
We are one week into the book study and it has been so much fun. I think Mr. Badura did a great job with the prompts, and I really enjoy the conversations going on in the comments. Today, I want to highlight the 8 characteristics of the innovator’s Mindset. Hopefully I will be able to show how I and my students embrace these concepts. 8 char IM.jpg

Writing at the top: The belief that abilities, intelligence and talents are developed leading to the creation of better ideas.

Smart is not something you are…Smart is something you get! ~Stephanie Harvey
It’s easy to justify doing poorly by saying that others are just smarter or better than you. But with hard work, anyone can be successful.
  1. Empathy
  1. Me: Watching dadsined podcast, they always ask their guests how being a dad has changed them as an educator. That got me thinking how I’ve grown as a teacher since Briggs was born. The biggest way is it has helped me be more empathetic with my students. I now am more understanding when students have more important things going on in their life than school. How can I tap into those important things?
  2. Students: Understand and respect people who think differently than you. That’s a super important life-long skill they will need that is NOT modeled very well by our society.
  1. Problem Finders/Solvers
  1. Students: For most labs, I’ll show them how to do the control group, and each set of students has to find a way to make it go better with their experimental groups.
      1. Photosynthesis: more light, type of light, amount of light, number of leaves, type of leaves, amount of CO2, amount of water, temperature…
    1. Me: Reflect on a lesson, but do more than reflect. Make actual changes to solve the issues.
  1. Risk Takers:
    1. An educator with an innovative mindset will find the balance between drawing on experience while maintaining a willingness to try something new.
    2. Just like most things in life either extreme can be problematic. Balance between structure and adventure.
  2. Networked:
    1. So important to develop a PLN on twitter that can encourage, inspire and assist you whenever you need it!
  3. Observant:
    1. One thing I like to do with my students on social media is show science in everyday things. And I love it when students send me things they find during their normal day that ties into what we are talking about.
  4. Creators:
    1. I want my students to create things in my class. Students learn a lot more from what they make vs what they see. I model this by making almost all of the materials for my classes.
  5. Resilient:
    1. The first 3 years of trying to have my students blog didn’t work well, but I kept trying.
    2. The first time I tried to get scientists to skype with my students no one responded, but I kept trying.
    3. How do we get students to develop grit in their learning? This is where I struggle. I want my students to enjoy science and because of that, sometimes I over help instead of letting students work their way through difficult concepts.
  6. Reflective:
    1. That’s the main reason I started this vlog, was to reflect on my teaching!

**What comes next are data records, not part of the text**
Computed powder X-ray diffraction pattern
Compound: LiVP2O7
Radiation: copper Kα
Structure: a structure optimized by DFT (PBE+U)
Intensities are scaled so that the largest is 1000.

Structural model:
a = 7.396 Å, b = 10.161 Å, c = 8.221 Å
α = 90.00°, β = 111.12°, γ = 90.00°
Element x y z (fractional)
Li1 0.011 0.194 0.447
Li2 0.011 0.306 0.947
Li3 0.989 0.694 0.053
Li4 0.989 0.806 0.553
V1 0.239 0.107 0.254
V2 0.239 0.393 0.754
V3 0.761 0.607 0.246
V4 0.761 0.893 0.746
P1 0.137 0.085 0.812
P2 0.137 0.415 0.312
P3 0.453 0.140 0.700
P4 0.453 0.360 0.200
P5 0.547 0.640 0.800
P6 0.547 0.860 0.300
P7 0.863 0.585 0.688
P8 0.863 0.915 0.188
O1 0.016 0.533 0.221
O2 0.016 0.967 0.721
O3 0.070 0.215 0.710
O4 0.070 0.285 0.210
O5 0.135 0.106 0.995
O6 0.135 0.394 0.495
O7 0.307 0.127 0.511
O8 0.307 0.373 0.011
O9 0.353 0.574 0.767
O10 0.353 0.926 0.267
O11 0.354 0.058 0.819
O12 0.354 0.442 0.319
O13 0.473 0.216 0.260
O14 0.473 0.284 0.760
O15 0.527 0.716 0.240
O16 0.527 0.784 0.740
O17 0.646 0.558 0.681
O18 0.646 0.942 0.181
O19 0.647 0.074 0.733
O20 0.647 0.426 0.233
O21 0.693 0.627 0.989
O22 0.693 0.873 0.489
O23 0.865 0.606 0.505
O24 0.865 0.894 0.005
O25 0.930 0.715 0.790
O26 0.930 0.785 0.290
O27 0.984 0.033 0.279
O28 0.984 0.467 0.779

Largest 10 diffraction maxima, in order of rising 2θ, 2θ = 5–70°:
15.52 deg, I 1000; 16.36 deg, I 111; 23.20 deg, I 545; 28.29 deg, I 57; 29.38 deg, I 224; 29.98 deg, I 222; 31.76 deg, I 54; 35.34 deg, I 92; 37.62 deg, I 148; 47.41 deg, I 77



Computed powder X-ray diffraction pattern
Compound: LiVP2O7
Radiation: copper Kα
Structure: a structure optimized by DFT (PBE+U)
Intensities are scaled so that the largest is 1000.

Structural model:
a = 5.323 Å, b = 5.323 Å, c = 9.087 Å
α = 97.87°, β = 97.87°, γ = 104.20°
Element x y z (fractional)
Li1 0.199 0.801 0.500
Li2 0.801 0.199 0.000
V1 0.198 0.845 0.988
V2 0.845 0.198 0.488
P1 0.304 0.308 0.787
P2 0.308 0.304 0.287
P3 0.731 0.747 0.191
P4 0.747 0.731 0.691
O1 0.126 0.148 0.640
O2 0.129 0.416 0.382
O3 0.148 0.126 0.140
O4 0.175 0.485 0.881
O5 0.416 0.129 0.882
O6 0.485 0.175 0.381
O7 0.487 0.538 0.230
O8 0.538 0.487 0.730
O9 0.587 0.913 0.104
O10 0.605 0.890 0.598
O11 0.888 0.891 0.848
O12 0.890 0.605 0.098
O13 0.891 0.888 0.348
O14 0.913 0.587 0.604

Largest 10 diffraction maxima, in order of rising 2θ, 2θ = 5–70°:
18.53 deg, I 576; 21.15 deg, I 305; 21.66 deg, I 288; 23.44 deg, I 212; 29.01 deg, I 683; 29.30 deg, I 1000; 30.69 deg, I 659; 42.29 deg, I 164; 44.31 deg, I 306; 57.37 deg, I 257



Computed powder X-ray diffraction pattern
Compound: Li3V3P4O16
Radiation: copper Kα
Structure: a structure optimized by DFT (PBE+U)
Intensities are scaled so that the largest is 1000.

Structural model:
a = 7.662 Å, b = 8.117 Å, c = 10.195 Å
α = 90.00°, β = 94.22°, γ = 90.00°
Element x y z (fractional)
Li1 0.138 0.000 0.078
Li2 0.151 0.009 0.576
Li3 0.341 0.273 0.671
Li4 0.659 0.773 0.329
Li5 0.849 0.509 0.424
Li6 0.862 0.500 0.922
V1 0.236 0.637 0.624
V2 0.242 0.653 0.129
**So much for the data records**

Outro: I hope you enjoyed this week’s episode and feel free to share, like, comment and subscribe! To all the other Educating Joes out there, have a great week!

Monday, June 6, 2016

Episode 8 "The Innovator's Mindset" Chapter 2


Episode 8
The Innovator's Mindset

"The Innovator's Mindset"

I hope you are enjoying my review of The Innovator's Mindset so far! I'm excited to start the seesaw activities with the other teacher's doing the book study, but if you've read the book, or something I say gets you thinking, please continue the conversation in the comments!!

8. The Innovator’s Mindset 2
Hey Jo, this week I’m going to talk to you about chapter two of The Innovator’s Mindset by George Couros!
I hope you are liking the book review so far. I had a lot of fun making the last episode and the book should take us all the way through the summer, which makes it easy for me! We still haven’t started the official book study yet, but I am excited to get started on Seesaw this week! I have 2 quotes from chapter 2 and the I will go through the “5 critical questions for the innovative Educator.”
  1. Quote number 1: The world only cares about...what you can do with what you know (and it doesn’t care how you learned it).
    1. Struggle with using innovative strategies with my students, know most science professors won’t use them.
      1. Am I setting my students up for future failure? Will they become so dependent on the activities from my class, they can’t learn from an old school lecture style?
      2. Focus on skills outside of science curriculum.
      3. Help students learn how they learn best, will help them in the future no matter how bad their professors are.
    2. Kayla Delzer quote: (@topdogteacher) Teachers can never base what happens in our classroom this year on what next year’s teacher may or may not do. If it’s best practice for our kids, do it now.
    3. If it helps my students learn this year, then do it! If it is best for student learning now, then it is best… period.
  2. Quote number 2: When I first started teaching, I remember thinking that students should learn the way I taught; they should adjust to me.
    1. Exactly what I thought my first year teaching.
    2. If a lesson fails, for any reason, as the adult, I’m responsible.
      1. I taught a horrible lesson over nutrient cycles right after prom. Students were STRUGGLING to stay awake. I knew they would be tired and I planned a lame lesson anyway. That’s on me, not my students.
  3. 5 critical questions for the innovative Educator
    1. Would I want to be a learner in my own classroom?
      1. If I weren’t passionate about this subject...
    2. What is best for this student?
      1. Conceptual Biology: students who struggle in science. What is the best way for these students to learn the content? It’s probably best for the other classes as well.
    3. What is this student’s passion?
      1. Adaptations → do their favorite animal= super ideas.
    4. What are some ways we can create a true learning community?
      1. Peer teaching
    5. How did this work for our students?
      1. Weekly feedback.
Outro: I hope you enjoyed this week’s episode and feel free to share, like, comment and subscribe! To all the other Educating Joes out there, have a great week!